The Faith-Science Discussion is an interdisciplinary group established by Southern
Adventist University faculty to provide a context for discussing the complex issue
of origins.
“Our campus has a commitment to creation,” says Greg King, dean of the School of Religion
and convener of the meetings, “and we are unapologetic creationists, but we do not
claim to have all the answers.”
The group comprises faculty members representing biology, chemistry, physics, computer science, religion, and the library. Meetings are held monthly. The group reads an article or book chapter on an origins-related issue and meets to discuss the reading, raise questions, and deepen their understanding of the topic at hand.
“Religion and science don’t need to be at odds,” says King. “We as scientists and theologians have a camaraderie. Our belief in the biblical perspective on origins is what binds us together.”

The article is interrupted by quantum chemistry results:
/*
Formula: C49H36N3O8S3Ta
Source: the OMol25 dataset
Level of theory: ωB97M-V/def2-TZVPD

The LUMO energy is -6.750 eV. Its energy above the lowest of the compared OMol25 structures with the same formula, charge and spin is 151.93 kJ/mol. The total charge is +2. The value obtained for the HOMO-LUMO gap is 6.320 eV.

Last column: Mulliken charge in e.
Positions of all 100 atoms, in Å:
Ta 1.9747 0.1474 -1.2274  2.1061
C -1.9324 -3.1451 5.8048  -1.7277
C -1.1801 -2.9178 4.5269  0.8844
C -1.0033 -1.6275 4.0271  -0.7996
C -0.3175 -1.3971 2.8494  0.0439
C 0.2063 -2.4824 2.1689  0.7618
C 0.0895 -3.7777 2.6592  -0.8187
C -0.6182 -3.9870 3.8292  -0.9947
S 1.0548 -2.3800 0.6298  0.1970
O 1.2587 -0.8169 0.4307  0.3866
C -0.0659 -2.8405 -0.6527  2.3990
C 0.4934 -3.7930 -1.5370  -1.6406
C -0.1908 -4.1497 -2.6583  -1.1092
C -1.4338 -3.5502 -2.9626  0.7197
C -2.1373 -3.8874 -4.1445  -1.2500
C -3.3454 -3.3189 -4.4144  -0.6768
C -3.9123 -2.3826 -3.5190  -0.9452
C -3.2619 -2.0332 -2.3748  -0.9946
C -1.9983 -2.6035 -2.0628  1.2273
C -1.2989 -2.2637 -0.8699  -1.5821
C -2.0277 -1.4458 0.1459  0.2537
C -2.9182 -2.1462 1.0164  1.0186
C -3.0020 -3.5620 1.0268  -0.7572
C -3.8512 -4.1994 1.8847  -0.9310
C -4.6646 -3.4634 2.7723  -0.8266
C -4.6106 -2.0995 2.7805  -1.1390
C -3.7384 -1.4101 1.9055  0.9353
C -3.6788 0.0056 1.8948  -1.3074
C -2.8234 0.6654 1.0681  -0.6059
C -1.9792 -0.0714 0.2006  0.8136
S -0.8946 0.7953 -0.9279  1.5386
O -1.5639 1.0647 -2.2117  -0.8170
C -0.7101 2.3400 -0.0553  0.6198
C -0.1083 2.3816 1.1985  0.1606
C 0.0397 3.6017 1.8333  -1.1969
C -0.3945 4.7867 1.2291  1.0160
C -0.2523 6.0998 1.9456  -1.5859
C -0.9777 4.7118 -0.0327  -1.0883
C -1.1401 3.4934 -0.6817  -0.9227
H -2.7427 -2.4259 5.9180  0.3889
H -1.2668 -3.0294 6.6625  0.3612
H -2.3500 -4.1497 5.8440  0.4206
H -1.4291 -0.7877 4.5630  0.4252
H -0.2207 -0.3973 2.4546  0.3707
H 0.5277 -4.6160 2.1285  0.5139
H -0.7321 -4.9947 4.2075  0.4351
H 1.4707 -4.2103 -1.3331  0.5338
H 0.2272 -4.8789 -3.3403  0.4975
H -1.6989 -4.6054 -4.8254  0.4922
H -3.8783 -3.5814 -5.3183  0.4370
H -4.8715 -1.9400 -3.7509  0.4758
H -3.7008 -1.3072 -1.7047  0.5072
H -2.3929 -4.1431 0.3469  0.4284
H -3.9093 -5.2798 1.8805  0.4910
H -5.3383 -3.9862 3.4378  0.4601
H -5.2402 -1.5248 3.4481  0.5155
H -4.3346 0.5639 2.5511  0.4793
H -2.7993 1.7453 1.0657  0.7285
H 0.2271 1.4715 1.6822  0.1650
H 0.4886 3.6409 2.8192  0.5884
H -0.9104 6.1315 2.8154  0.3233
H -0.5110 6.9369 1.3007  0.4021
H 0.7662 6.2450 2.3071  0.3573
H -1.3236 5.6179 -0.5146  0.4481
H -1.6063 3.4306 -1.6576  0.6460
O 3.7609 -3.0598 -2.8715  -0.4618
C 3.4977 -1.9767 -2.4891  0.7443
O 2.4244 -1.6680 -1.7017  -0.2076
C 4.3262 -0.6835 -2.7206  0.1731
O 5.3188 -0.6269 -3.3531  -0.4545
O 3.7292 0.3461 -2.0685  -0.8565
O 1.1650 0.1040 -3.1076  -0.3069
N 0.9887 1.1877 -3.8013  -0.9522
N 1.2636 2.2124 -3.1454  1.0207
O 1.6449 2.0744 -1.8762  -0.2835
C 1.1532 3.5337 -3.7028  0.3906
C 1.4025 4.6201 -2.8817  0.1852
C 1.2956 5.8917 -3.4215  -0.9686
*/

Professor of Chemistry
“While we may have determined where we are going to put our faith, that doesn't mean we have all the answers for our students. The Faith-Science Discussion helps equip us to teach them to make choices for themselves.”

Between two parts of the article: records of molecules:
(1)
# C17H16BrF3N4O

C17H16BrF3N4O in the gas phase at a distorted geometry (the ωB97M-V functional and the def2-TZVPD basis, OMol25).

Cartesian coordinates (Å):
O1 4.051 -0.749 -0.110
C1 3.308 0.123 -0.536
N1 3.508 1.378 -0.013
C2 2.507 2.348 0.027
C3 1.730 2.670 -1.119
C4 0.632 3.544 -1.010
C5 0.334 4.150 0.218
C6 1.165 3.886 1.350
C7 2.216 2.968 1.265
Br1 3.060 2.324 2.871
N2 2.191 -0.155 -1.288
C8 1.792 -1.511 -1.511
C9 0.707 -1.538 -2.592
C10 -0.559 -1.213 -1.826
N3 -0.286 -1.649 -0.475
C11 -1.260 -1.639 0.522
C12 -1.060 -2.236 1.759
C13 -2.087 -2.338 2.650
C14 -3.330 -1.799 2.294
C15 -3.480 -1.181 1.012
C16 -4.817 -0.512 0.536
F1 -5.788 -1.462 0.399
F2 -5.239 0.441 1.400
F3 -4.605 0.025 -0.720
N4 -2.428 -1.153 0.171
C17 1.100 -2.096 -0.282
H1 4.176 1.337 0.769
H2 1.999 2.213 -2.095
H3 0.059 3.798 -1.861
H4 -0.496 4.845 0.340
H5 0.956 4.414 2.299
H6 1.408 0.489 -1.158
H7 2.667 -2.074 -1.756
H8 0.902 -0.848 -3.393
H9 0.659 -2.548 -3.052
H10 -0.716 -0.126 -1.786
H11 -1.418 -1.706 -2.258
H12 -0.130 -2.745 2.000
H13 -1.892 -2.844 3.615
H14 -4.171 -1.898 2.964
H15 1.509 -1.754 0.668
H16 1.123 -3.180 -0.285

Results
* energy above the lowest of the compared OMol25 structures with the same formula, charge and spin: 0.0000 eV
* structure (SMILES): O=C(Nc1ccccc1Br)N[C@@H]1CCN(c2cccc(C(F)(F)F)n2)C1
* frontier orbital gap: 8.702 eV

(2)
# C30H28BiN2Si

A molecular structure, C30H28BiN2Si at a distorted geometry (the ωB97M-V functional and the def2-TZVPD basis, OMol25).

Cartesian coordinates (Å):
C1 0.750 2.942 2.622
C2 1.072 3.644 1.419
C3 -0.114 3.769 0.653
H1 2.048 4.090 1.202
C4 -1.182 3.166 1.344
C5 -0.675 2.596 2.556
H2 -1.272 2.253 3.409
H3 1.368 2.859 3.524
H4 -0.197 4.334 -0.291
H5 -2.238 3.205 1.068
Bi1 0.581 0.539 1.667
C6 -0.708 0.245 -0.275
H6 -1.537 0.952 -0.392
H7 -1.009 -0.788 -0.417
H8 0.118 0.551 -0.931
Si1 -0.332 -0.714 -3.579
C7 1.295 -0.652 -4.463
C8 2.017 0.547 -4.344
H9 1.571 1.403 -3.837
C9 3.310 0.647 -4.859
H10 3.865 1.573 -4.729
C10 3.885 -0.440 -5.518
H11 4.901 -0.367 -5.908
C11 3.162 -1.632 -5.663
H12 3.618 -2.487 -6.171
C12 1.866 -1.742 -5.145
H13 1.297 -2.670 -5.258
C13 -1.444 0.574 -4.342
C14 -1.242 1.099 -5.636
H14 -0.463 0.686 -6.283
C15 -2.011 2.176 -6.091
H15 -1.806 2.616 -7.069
C16 -3.029 2.702 -5.285
H16 -3.607 3.560 -5.629
C17 -3.294 2.123 -4.040
H17 -4.089 2.527 -3.412
C18 -2.537 1.040 -3.590
H18 -2.775 0.565 -2.638
H19 0.030 -0.750 -2.171
H20 -1.046 -2.030 -3.533
C19 -0.004 -4.104 1.796
C20 0.100 -2.748 1.475
N1 0.092 -1.792 2.422
C21 -0.010 -2.167 3.738
C22 -0.099 -3.530 4.120
C23 -0.103 -4.510 3.110
C24 -0.151 -3.871 5.504
C25 -0.131 -2.911 6.482
C26 -0.055 -1.525 6.149
C27 -0.029 -0.512 7.128
C28 0.063 0.809 6.741
C29 0.148 1.096 5.374
N2 0.158 0.157 4.415
C30 0.019 -1.153 4.774
H21 0.001 -4.809 0.977
H22 0.190 -2.386 0.447
H23 -0.169 -5.565 3.394
H24 -0.197 -4.933 5.766
H25 -0.170 -3.186 7.536
H26 -0.077 -0.821 8.162
H27 0.074 1.617 7.459
H28 0.202 2.134 5.067

Results
* total charge: +1
End of the records of molecules:

Professor of Chemistry
“We need to help our students accept the discomfort that exists in issues like this. We hope they will see how we believe, that there is room for unanswered questions in this world, to see us struggle, and then still have confidence in the Word of God.”

Professor of Religion
“We admit there are questions we don’t have answers for, but it's more honest to wrestle with the mystery than to bend the data from either side to make it comfortable.”

-- Misplaced calculated molecules --
{
  "formula": "C24H48ClNa2O28",
  "method": "ωB97M-V/def2-TZVPD",
  "species": ["Na", "Na", "Cl", "O", "O", "O", "O", "C", "O", "C", "O", "O", "C", "H", "H", "H", "H", "H", "H", "C", "O", "C", "O", "O", "C", "H", "H", "H", "H", "H", "H", "C", "O", "C", "O", "O", "C", "H", "H", "H", "H", "H", "H", "C", "O", "C", "O", "O", "C", "H", "H", "H", "H", "H", "H", "C", "O", "C", "O", "O", "C", "H", "H", "H", "H", "H", "H", "C", "O", "C", "O", "O", "C", "H", "H", "H", "H", "H", "H", "C", "O", "C", "O", "O", "C", "H", "H", "H", "H", "H", "H", "C", "O", "C", "O", "O", "C", "H", "H", "H", "H", "H", "H"],
  "positions_angstrom": [[-5.68, 0.53, -0.72], [2.42, 0.02, -4.90], [-0.54, -0.33, -0.92], [-1.69, -0.38, -0.09], [-0.29, -1.60, -1.45], [-0.79, 0.52, -2.05], [0.63, 0.17, -0.23], [-3.87, 3.56, -5.85], [-5.05, 4.34, -5.90], [-6.12, 3.94, -5.18], [-6.24, 2.91, -4.48], [-7.13, 4.79, -5.40], [-8.43, 4.63, -4.82], [-3.46, 3.61, -6.86], [-4.08, 2.53, -5.55], [-3.16, 3.91, -5.10], [-8.80, 5.65, -4.80], [-8.34, 4.16, -3.84], [-9.12, 4.04, -5.43], [2.98, 4.59, 3.86], [3.45, 5.78, 3.27], [3.49, 6.96, 4.05], [3.11, 7.05, 5.21], [3.97, 7.88, 3.31], [3.76, 9.26, 3.76], [3.68, 4.14, 4.57], [2.83, 3.88, 3.05], [2.06, 4.76, 4.43], [2.71, 9.54, 3.81], [4.29, 10.02, 3.18], [4.04, 9.39, 4.81], [-0.34, 2.01, 10.13], [-1.10, 1.31, 9.15], [-0.52, 0.57, 8.19], [0.73, 0.44, 8.01], [-1.47, 0.12, 7.32], [-0.97, -0.51, 6.15], [-0.26, 1.51, 11.09], [-0.84, 2.97, 10.19], [0.69, 2.16, 9.82], [-0.75, -1.53, 6.43], [-0.13, 0.02, 5.70], [-1.74, -0.52, 5.37], [-5.09, 6.45, -0.18], [-4.58, 6.22, 1.15], [-4.47, 4.93, 1.63], [-4.85, 3.88, 1.08], [-3.72, 4.98, 2.69], [-3.47, 3.82, 3.46], [-4.91, 5.62, -0.86], [-4.63, 7.36, -0.58], [-6.15, 6.66, -0.17], [-3.01, 3.08, 2.81], [-4.40, 3.38, 3.83], [-2.77, 4.04, 4.27], [-8.81, -4.69, -1.80], [-7.74, -4.80, -2.70], [-6.82, -3.78, -2.77], [-6.79, -2.78, -2.06], [-6.04, -4.01, -3.80], [-5.06, -3.14, -4.28], [-9.76, -5.10, -2.16], [-8.98, -3.66, -1.50], [-8.61, -5.34, -0.95], [-5.32, -2.08, -4.32], [-4.47, -3.45, -5.14], [-4.26, -3.06, -3.55], [0.75, -7.70, -3.12], [1.46, -8.39, -4.20], [1.83, -9.67, -4.08], [1.64, -10.42, -3.15], [2.56, -9.94, -5.08], [3.07, -11.23, -5.25], [1.37, -7.69, -2.22], [-0.20, -8.15, -2.84], [0.80, -6.65, -3.40], [3.61, -11.48, -6.17], [2.27, -11.97, -5.13], [3.69, -11.43, -4.37], [4.63, -4.94, -1.14], [5.13, -5.33, -2.46], [5.09, -4.35, -3.40], [4.65, -3.20, -3.28], [5.48, -4.80, -4.54], [5.77, -6.17, -4.76], [5.49, -4.53, -0.61], [4.14, -5.82, -0.73], [3.97, -4.07, -1.13], [6.51, -6.56, -4.06], [6.22, -6.36, -5.73], [4.77, -6.60, -4.66], [6.21, 0.50, 2.09], [7.18, 1.42, 1.70], [7.89, 2.15, 2.61], [7.67, 2.11, 3.84], [8.85, 2.72, 1.99], [9.94, 3.50, 2.66], [6.64, -0.44, 2.44], [5.56, 0.19, 1.28], [5.54, 0.88, 2.87], [10.85, 3.59, 2.08], [10.18, 3.00, 3.60], [9.52, 4.45, 2.99]],

Associate Professor of Biology
"You can be intellectually honest and still believe the Bible.”

Dean of the School of Religion and Professor of Biblical Studies
“I want my students to know that I have confidence in God’s Word and faith in God as my Creator, and that I believe the Bible provides the most accurate account we have for how we came to be and why we are here. Does it fill in all the details about creation? No. Are there things that we are still learning? Absolutely.”

Chair and Professor of Biology
“Our worldview is fairly uniform. We are not fighting about a worldview; we're trying to recognize our biases and understand how they affect objectivity.”
Books Considered at the Faith-Science Discussion
- Darwin's Doubt
by Stephen Meyer - In the Beginning
by Bryan W. Ball - The Case for a Creator
by Lee Strobel - Coming to Grips with Genesis: Biblical Authority and the Age of the Earth
by Terry Mortenson and Thane H. Ury - Created from Animals: The Moral Implications of Darwinism
by James Rachels